The 2nd photo competition “Natura 2000 – Click at nature” has been launched!
After the successful organization of the first photo competition “Natura 2000 – Click at nature!”, which attracted more than 1,000 entries, WWF Greece and the LIFE-IP 4 NATURA project partners invite us to become ambassadors of Natura 2000 areas again.
In other words, to become ambassadors of the areas where the protected species of flora and fauna of our country find a valuable refuge for their survival. The Natura areas, with their unique landscapes, the beauty and the rich life they host, form and shape the identity of the world-known “Greek nature”.
The photo competition Natura 2000 – Click at nature! is organised with the support of PHOTOgrafos magazine and targets both professional and amateur photographers, who can claim rich prizes, competing in 4 thematic categories:
- Humans & Nature
Entry 1:
# Li4LaHg (GGA-PBEsol, relaxed)
# - formation energy from the elements (eV/atom) = -0.143
# - N(E_F) (states/eV/cell) = 16.8
# - total energy (eV/atom) = -2.44
data_Li4LaHg
_chemical_formula_sum 'Li16 La4 Hg4'
_cell_length_a 7.781
_cell_length_b 7.781
_cell_length_c 7.781
_cell_angle_alpha 90.00
_cell_angle_beta 90.00
_cell_angle_gamma 90.00
_space_group_name_H-M_alt 'F -4 3 m'
_space_group_IT_number 216
_space_group_name_Hall 'F -4 2 3'
loop_
_atom_site_label
_atom_site_type_symbol
_atom_site_fract_x
_atom_site_fract_y
_atom_site_fract_z
Li1 Li 0.122 0.122 0.378
La1 La 0.000 0.000 0.000
Hg1 Hg 0.250 0.250 0.750



Entry 2:
# LiLa2Hg2 (GGA-PBEsol, relaxed)
# - formation energy from the elements (eV/atom) = -0.412
# - N(E_F) (states/eV/cell) = 10.1
# - total energy (eV/atom) = -3.17
data_LiLa2Hg2
_chemical_formula_sum 'Li2 La4 Hg4'
_cell_length_a 7.548
_cell_length_b 7.548
_cell_length_c 4.764
_cell_angle_alpha 90.00
_cell_angle_beta 90.00
_cell_angle_gamma 90.00
_space_group_name_H-M_alt 'P 4/m b m'
_space_group_IT_number 127
_space_group_name_Hall '-P 4 2ab'
loop_
_atom_site_label
_atom_site_type_symbol
_atom_site_fract_x
_atom_site_fract_y
_atom_site_fract_z
Li1 Li 0.000 0.000 0.000
La1 La 0.148 0.352 0.500
Hg1 Hg 0.150 0.650 0.000



Among the records above, which one has the lowest total energy? LiLa2Hg2
- Birds
- Fauna and Flora
- Landscape
The only condition for participation in the competition is that the photos submitted must have been taken in one of the 446 Natura 2000 areas of Greece.
The purpose of the photo contest is to highlight both the beauty and the priceless ecological value of the Natura 2000 areas in our country, but also to raise public awareness of the dangers that pose an immediate threat to these unique ecosystems, such as the climate crisis and its multifaceted effects.
In Greece we meet 450 species of birds, of which 62 are threatened with extinction. We meet 115 species of mammals, of which 28 are threatened with extinction. There are 630 species of fish in our seas and rivers, but 28 of them are also at risk of extinction.
The loss of biodiversity, a crisis with global dimensions, could not have left our country unaffected. It is a crisis that -quietly but at an accelerating rate- is making our planet increasingly poorer in life. To protect biodiversity, the European Union created the largest network of protected areas in the world: the Natura 2000 network. A network that in our country extends to 446 areas, protecting the most valuable and most vulnerable features of Greek nature.
Against the global challenge of biodiversity loss, Greece can play a disproportionately important -compared to its size- role. And this is because it has a high rate of endemism. In other words, it hosts a large number of species that spread exclusively in our country and nowhere else in the world!
The photo contest participation registrations have begun! The competition will end on Thursday 31 March 2022, while the names of the winners will be announced on 21 May 2022, as part of the celebration of the European Natura 2000 Day.